== Material ==
=====
Structure and computed X-ray diffraction stick pattern of Pm3Y2Tm6 (a DFT-relaxed cell (GGA-PBE, Alexandria); Cu Kα (λ = 1.5418 Å)).
Intensities are scaled so that the largest is 100.

Cell lengths 6.121, 10.621, 11.554 Å; angles 90.00, 100.29, 90.00 degrees
Space group C2/m (No. 12)
Unique sites:
Pm: 0.000 0.000 0.000 (multiplicity 2)
Pm: 0.000 0.335 0.000 (multiplicity 4)
Y: 0.000 0.166 0.500 (multiplicity 4)
Tm: 0.249 0.000 0.748 (multiplicity 4)
Tm: 0.249 0.333 0.748 (multiplicity 8)

The 12 most intense peaks (15° ≤ 2θ ≤ 90°), in order of rising 2θ:
(0 0 2), 5.684 Å, 2θ 15.59, I 9
(1 3 1), 2.883 Å, 2θ 31.02, I 100
(0 0 4), 2.842 Å, 2θ 31.48, I 32
(2 0 2), 2.488 Å, 2θ 36.11, I 67
(0 6 0), 1.770 Å, 2θ 51.64, I 8
(3 3 -1), 1.768 Å, 2θ 51.71, I 16
(1 3 5), 1.750 Å, 2θ 52.28, I 23
(2 6 -2), 1.508 Å, 2θ 61.47, I 9
(0 6 4), 1.502 Å, 2θ 61.74, I 19
(3 3 3), 1.500 Å, 2θ 61.86, I 9
(1 3 -7), 1.491 Å, 2θ 62.28, I 9
(2 6 2), 1.441 Å, 2θ 64.66, I 12


(1)
The following is a theoretical PXRD pattern of ScFe6Sn6. It was derived from a structure optimized by DFT (GGA-PBE), using λ = 1.5418 Å (Cu Kα).
No peak broadening, texture or thermal motion is included.

Crystal structure
```
data_ScFe6Sn6
_cell_length_a 5.3786
_cell_length_b 5.3786
_cell_length_c 8.9135
_cell_angle_alpha 90.00
_cell_angle_beta 90.00
_cell_angle_gamma 120.00
_space_group_name_H-M_alt 'P 6/m m m'
_space_group_IT_number 191
_space_group_name_Hall '-P 6 2'
loop_
_atom_site_label
_atom_site_type_symbol
_atom_site_fract_x
_atom_site_fract_y
_atom_site_fract_z
Sc1 Sc 0.0000 0.0000 0.0000
Fe1 Fe 0.0000 0.5000 0.2455
Sn1 Sn 0.0000 0.0000 0.3333
Sn2 Sn 0.3333 0.6667 0.0000
Sn3 Sn 0.3333 0.6667 0.5000
```

Main lines, in order of rising 2θ (10 to 90 degrees two-theta):
Position (°2θ), I_rel
27.70, 29.3
33.32, 100.0
35.85, 34.0
38.66, 24.5
39.12, 83.7
40.48, 26.3
43.86, 98.3
45.10, 38.8
59.54, 20.0
67.84, 23.5
69.96, 34.1
72.72, 39.8

(2)
The following is a theoretical PXRD pattern of Sc6FeTe2. It was derived from a structure optimized by DFT (GGA-PBE), using λ = 1.5418 Å (Cu Kα).
No peak broadening, texture or thermal motion is included.

Crystal structure
```
data_Sc6FeTe2
_cell_length_a 7.7207
_cell_length_b 7.7207
_cell_length_c 3.8057
_cell_angle_alpha 90.00
_cell_angle_beta 90.00
_cell_angle_gamma 120.00
_space_group_name_H-M_alt 'P -6 2 m'
_space_group_IT_number 189
_space_group_name_Hall 'P -6 -2'
loop_
_atom_site_label
_atom_site_type_symbol
_atom_site_fract_x
_atom_site_fract_y
_atom_site_fract_z
Sc1 Sc 0.0000 0.2330 0.0000
Sc2 Sc 0.0000 0.6168 0.5000
Fe1 Fe 0.0000 0.0000 0.5000
Te1 Te 0.3333 0.6667 0.0000
```

Main lines, in order of rising 2θ (10 to 90 degrees two-theta):
Position (°2θ), I_rel
23.04, 69.2
26.96, 23.8
33.05, 100.0
35.52, 36.5
35.75, 78.0
40.47, 61.9
42.96, 66.4
47.80, 23.1
63.79, 20.4
64.38, 29.5
65.62, 26.3
68.92, 24.4

(3)
The following is a theoretical PXRD pattern of ScTi2Fe6. It was derived from a structure optimized by DFT (GGA-PBE), using λ = 1.5418 Å (Cu Kα).
No peak broadening, texture or thermal motion is included.

Crystal structure
```
data_ScTi2Fe6
_cell_length_a 4.8356
_cell_length_b 4.8356
_cell_length_c 23.7583
_cell_angle_alpha 90.00
_cell_angle_beta 90.00
_cell_angle_gamma 120.00
_space_group_name_H-M_alt 'P 3 m 1'
_space_group_IT_number 156
loop_
_space_group_symop_operation_xyz
'x,y,z'
'-y,x-y,z'
'-x+y,-x,z'
'-y,-x,z'
'-x+y,y,z'
'x,x-y,z'
loop_
_atom_site_label
_atom_site_type_symbol
_atom_site_fract_x
_atom_site_fract_y
_atom_site_fract_z
Sc1 Sc 0.0000 0.0000 0.0000
Sc2 Sc 0.0000 0.0000 0.3324
Sc3 Sc 0.0000 0.0000 0.6645
Sc4 Sc 0.6667 0.3333 0.7088
Ti1 Ti 0.0000 0.0000 0.2063
Ti2 Ti 0.0000 0.0000 0.5393
Ti3 Ti 0.0000 0.0000 0.8744
Ti4 Ti 0.6667 0.3333 0.0438
Ti5 Ti 0.6667 0.3333 0.1670
Ti6 Ti 0.6667 0.3333 0.3769
Ti7 Ti 0.6667 0.3333 0.5000
Ti8 Ti 0.6667 0.3333 0.8346
Fe1 Fe 0.1640 0.3279 0.1054
Fe2 Fe 0.1638 0.3276 0.4384
Fe3 Fe 0.1642 0.3283 0.7733
Fe4 Fe 0.3333 0.6667 0.0208
Fe5 Fe 0.3333 0.6667 0.1872
=====
== Job ==
Retype all of the entries earlier on without additions.
== Done ==
Structure and computed X-ray diffraction stick pattern of Pm3Y2Tm6 (a DFT-relaxed cell (GGA-PBE, Alexandria); Cu Kα (λ = 1.5418 Å)).
Intensities are scaled so that the largest is 100.

Cell lengths 6.121, 10.621, 11.554 Å; angles 90.00, 100.29, 90.00 degrees
Space group C2/m (No. 12)
Unique sites:
Pm: 0.000 0.000 0.000 (multiplicity 2)
Pm: 0.000 0.335 0.000 (multiplicity 4)
Y: 0.000 0.166 0.500 (multiplicity 4)
Tm: 0.249 0.000 0.748 (multiplicity 4)
Tm: 0.249 0.333 0.748 (multiplicity 8)

The 12 most intense peaks (15° ≤ 2θ ≤ 90°), in order of rising 2θ:
(0 0 2), 5.684 Å, 2θ 15.59, I 9
(1 3 1), 2.883 Å, 2θ 31.02, I 100
(0 0 4), 2.842 Å, 2θ 31.48, I 32
(2 0 2), 2.488 Å, 2θ 36.11, I 67
(0 6 0), 1.770 Å, 2θ 51.64, I 8
(3 3 -1), 1.768 Å, 2θ 51.71, I 16
(1 3 5), 1.750 Å, 2θ 52.28, I 23
(2 6 -2), 1.508 Å, 2θ 61.47, I 9
(0 6 4), 1.502 Å, 2θ 61.74, I 19
(3 3 3), 1.500 Å, 2θ 61.86, I 9
(1 3 -7), 1.491 Å, 2θ 62.28, I 9
(2 6 2), 1.441 Å, 2θ 64.66, I 12


(1)
The following is a theoretical PXRD pattern of ScFe6Sn6. It was derived from a structure optimized by DFT (GGA-PBE), using λ = 1.5418 Å (Cu Kα).
No peak broadening, texture or thermal motion is included.

Crystal structure
```
data_ScFe6Sn6
_cell_length_a 5.3786
_cell_length_b 5.3786
_cell_length_c 8.9135
_cell_angle_alpha 90.00
_cell_angle_beta 90.00
_cell_angle_gamma 120.00
_space_group_name_H-M_alt 'P 6/m m m'
_space_group_IT_number 191
_space_group_name_Hall '-P 6 2'
loop_
_atom_site_label
_atom_site_type_symbol
_atom_site_fract_x
_atom_site_fract_y
_atom_site_fract_z
Sc1 Sc 0.0000 0.0000 0.0000
Fe1 Fe 0.0000 0.5000 0.2455
Sn1 Sn 0.0000 0.0000 0.3333
Sn2 Sn 0.3333 0.6667 0.0000
Sn3 Sn 0.3333 0.6667 0.5000
```

Main lines, in order of rising 2θ (10 to 90 degrees two-theta):
Position (°2θ), I_rel
27.70, 29.3
33.32, 100.0
35.85, 34.0
38.66, 24.5
39.12, 83.7
40.48, 26.3
43.86, 98.3
45.10, 38.8
59.54, 20.0
67.84, 23.5
69.96, 34.1
72.72, 39.8

(2)
The following is a theoretical PXRD pattern of Sc6FeTe2. It was derived from a structure optimized by DFT (GGA-PBE), using λ = 1.5418 Å (Cu Kα).
No peak broadening, texture or thermal motion is included.

Crystal structure
```
data_Sc6FeTe2
_cell_length_a 7.7207
_cell_length_b 7.7207
_cell_length_c 3.8057
_cell_angle_alpha 90.00
_cell_angle_beta 90.00
_cell_angle_gamma 120.00
_space_group_name_H-M_alt 'P -6 2 m'
_space_group_IT_number 189
_space_group_name_Hall 'P -6 -2'
loop_
_atom_site_label
_atom_site_type_symbol
_atom_site_fract_x
_atom_site_fract_y
_atom_site_fract_z
Sc1 Sc 0.0000 0.2330 0.0000
Sc2 Sc 0.0000 0.6168 0.5000
Fe1 Fe 0.0000 0.0000 0.5000
Te1 Te 0.3333 0.6667 0.0000
```

Main lines, in order of rising 2θ (10 to 90 degrees two-theta):
Position (°2θ), I_rel
23.04, 69.2
26.96, 23.8
33.05, 100.0
35.52, 36.5
35.75, 78.0
40.47, 61.9
42.96, 66.4
47.80, 23.1
63.79, 20.4
64.38, 29.5
65.62, 26.3
68.92, 24.4

(3)
The following is a theoretical PXRD pattern of ScTi2Fe6. It was derived from a structure optimized by DFT (GGA-PBE), using λ = 1.5418 Å (Cu Kα).
No peak broadening, texture or thermal motion is included.

Crystal structure
```
data_ScTi2Fe6
_cell_length_a 4.8356
_cell_length_b 4.8356
_cell_length_c 23.7583
_cell_angle_alpha 90.00
_cell_angle_beta 90.00
_cell_angle_gamma 120.00
_space_group_name_H-M_alt 'P 3 m 1'
_space_group_IT_number 156
loop_
_space_group_symop_operation_xyz
'x,y,z'
'-y,x-y,z'
'-x+y,-x,z'
'-y,-x,z'
'-x+y,y,z'
'x,x-y,z'
loop_
_atom_site_label
_atom_site_type_symbol
_atom_site_fract_x
_atom_site_fract_y
_atom_site_fract_z
Sc1 Sc 0.0000 0.0000 0.0000
Sc2 Sc 0.0000 0.0000 0.3324
Sc3 Sc 0.0000 0.0000 0.6645
Sc4 Sc 0.6667 0.3333 0.7088
Ti1 Ti 0.0000 0.0000 0.2063
Ti2 Ti 0.0000 0.0000 0.5393
Ti3 Ti 0.0000 0.0000 0.8744
Ti4 Ti 0.6667 0.3333 0.0438
Ti5 Ti 0.6667 0.3333 0.1670
Ti6 Ti 0.6667 0.3333 0.3769
Ti7 Ti 0.6667 0.3333 0.5000
Ti8 Ti 0.6667 0.3333 0.8346
Fe1 Fe 0.1640 0.3279 0.1054
Fe2 Fe 0.1638 0.3276 0.4384
Fe3 Fe 0.1642 0.3283 0.7733
Fe4 Fe 0.3333 0.6667 0.0208
Fe5 Fe 0.3333 0.6667 0.1872